Friday, 25 October 2013

Lament: Farewell...

Today. Left the final meeting of our spiritual formation group (before graduation) feeling extremely down.

We mostly engaged in an umpteenth conversation on our post-graduation plans. Nothing much has changed since we last talked. Most of us are in the same "wait, pray and see" boat. You know... do the necessary stuff, explore options and let God's plans unfold in His time. Our lecturer adjourned the meeting and year with a short prayer which affected me much, because reality suddenly hit me: the end of my time at MBTS is near. I have not given much thought to this lately, being wrapped up in papers (if you'll pardon the pun), but well, with the graduation less than a fortnight away, it's about time. While I had numbed myself the best I could to the avalanche of emotions that was descending upon me (and I am rather good at that in the presence of other people, I must say.... A kind of silly pride so that I won't burst into tears in public, tsk tsk)... I couldn't wait to run out of the building, down the hill and into my car, so that I could be alone.

I feel a lot like how I felt when I was about to part ways with my batchmates at med school in '08. A keen sense of losing my bearings. I think, what pains me the most is the realisation that many relationships are going to change drastically. As an introvert, I am not a very sociable person. I don't, for example, attend that many gatherings - because they are not compulsory, haha - and I used to be working in the evenings (a legitimate excuse). Neither am I wild about the hikes and sunny outings that the people at the seminary seem to love (not too fond of the sun too). However, I do have close friends whom I meet up every once in a while for lunch or coffee; a home-group which discusses theological issues and the Bible; and a random few others with whom I can connect at a much deeper level even though we hardly have time to sit down and do heart-to-heart chats. I depend quite a lot on these people to keep me sane - especially while I live a rather unpredictable life. (But then again, who doesn't?) Of course, graduation doesn't necessarily mean that I will lose touch entirely with them (especially those who are permanent residents in Penang). And I know for sure that God would bring me new friends in His time. However, things are never going to be the same again - and there is a part of me which dreads the transition and wishes that something urgent could be done to anaesthetise the dreadful destabilising-pains that uncertainty brings. (Doesn't help that I happen to be a very sentimental person too.)

I guess God has His reasons for painful experiences like this. More than anything, it is so that I can draw closer to Him and feel His warmth. Indeed, no friend or lover should replace Him, I am reminded. None can compare...

Hmmm. I'm sorry if I made anyone emo. I need..... to trust God.

*Listening to melancholic violin music on BBC Radio 3*

1 comment:

Adeline said...

-- Materials data from another source follow --
The following is a PBE+U calculation of crystalline Li3CrCo3O8 at its relaxed geometry, from the Materials Project.

a = 5.7715 Å, b = 5.8814 Å, c = 10.3653 Å
α = 73.87°, β = 73.84°, γ = 60.72°
Fractional coordinates of all 30 atoms:
Li  0.2449  0.2568  0.2507
Li  0.2515  0.7451  0.2541
Li  0.2523  0.7453  0.7489
Li  0.7477  0.2547  0.2511
Li  0.7485  0.2549  0.7459
Li  0.7551  0.7432  0.7493
Cr  0.0000  0.0000  0.5000
Cr  0.5000  0.5000  0.0000
Co  0.0000  0.0000  0.0000
Co  0.0000  0.5000  0.0000
Co  0.0000  0.5000  0.5000
Co  0.5000  0.0000  0.0000
Co  0.5000  0.0000  0.5000
Co  0.5000  0.5000  0.5000
O  0.1206  0.1470  0.1118
O  0.1280  0.6186  0.1060
O  0.1319  0.6332  0.6066
O  0.1422  0.1220  0.6084
O  0.3521  0.3814  0.8939
O  0.3679  0.8689  0.8953
O  0.3689  0.8849  0.3909
O  0.3703  0.3779  0.3797
O  0.6297  0.6221  0.6203
O  0.6311  0.1151  0.6091
O  0.6321  0.1311  0.1047
O  0.6479  0.6186  0.1061
O  0.8578  0.8780  0.3916
O  0.8681  0.3668  0.3934
O  0.8720  0.3814  0.8940
O  0.8794  0.8530  0.8882

Properties
Its space group is P-1, No. 2. The uncorrected energy is -5.9670 eV per atom. The energy relative to the elements comes out at -1.708 eV per atom.



The following is a PBE+U calculation of crystalline Li2CrCo3O8 at its relaxed geometry, from the Materials Project.

a = 8.1481 Å, b = 8.1487 Å, c = 8.1665 Å
α = 90.28°, β = 90.15°, γ = 90.21°
Fractional coordinates of all 56 atoms:
Li  0.0000  0.0000  0.0000
Li  0.9997  0.4991  0.5018
Li  0.2465  0.2525  0.7512
Li  0.2496  0.7500  0.2503
Li  0.5000  0.5017  0.0019
Li  0.5016  0.9973  0.5026
Li  0.7490  0.7524  0.7499
Li  0.7512  0.2540  0.2517
Cr  0.1236  0.3756  0.1243
Cr  0.3718  0.8752  0.8749
Cr  0.6249  0.6249  0.3757
Cr  0.8734  0.1266  0.6255
Co  0.1201  0.6251  0.8735
Co  0.1256  0.8722  0.6212
Co  0.1302  0.1221  0.3765
Co  0.3711  0.6212  0.6255
Co  0.3762  0.3699  0.3811
Co  0.3795  0.1266  0.1310
Co  0.6210  0.3750  0.6292
Co  0.6241  0.1307  0.8793
Co  0.6290  0.8800  0.1268
Co  0.8693  0.3809  0.8766
Co  0.8758  0.6298  0.1215
Co  0.8794  0.8767  0.3715
O  0.1040  0.3911  0.8826
O  0.1071  0.6201  0.1088
O  0.1127  0.8894  0.3855
O  0.1177  0.1089  0.6063
O  0.1400  0.6379  0.6371
O  0.1401  0.8643  0.8585
O  0.1409  0.3503  0.3727
O  0.1490  0.1263  0.1451
O  0.3600  0.6377  0.8598
O  0.3624  0.8561  0.6382
O  0.3649  0.1354  0.3644
O  0.3717  0.3546  0.1467
O  0.3779  0.6065  0.3956
O  0.3887  0.3869  0.6156
O  0.3904  0.1167  0.8930
O  0.3900  0.8932  0.1128
O  0.6040  0.6070  0.6215
O  0.6109  0.1168  0.1130
O  0.6112  0.8969  0.8904
O  0.6115  0.3812  0.3968
O  0.6269  0.1440  0.6472
O  0.6328  0.3614  0.8633
O  0.6429  0.6460  0.1302
O  0.6469  0.8706  0.3608
O  0.8504  0.3733  0.6408
O  0.8543  0.1425  0.8716
O  0.8626  0.8647  0.1396
O  0.8716  0.6446  0.3553
O  0.8804  0.3978  0.1108
O  0.8848  0.6156  0.8906
O  0.8903  0.8808  0.6029
O  0.8944  0.1078  0.3807

Properties

Not easy at all. Never is. :-)